Testimony of Conversion
Like every Peruvian or Latino, I was born in a Catholic home with many traditions and superstitions at its core; a lower middle class to poor and dysfunctional home, which was very natural in all the homes I knew.
With such a home and with the many changes of address I experienced as a child, it created a very strong sense of uprootedness in me and a great desire to belong. After several cities, neighborhoods, homes, schools and groups of friends… I found myself alone. Alone and working as a minor and having finished school; “free” from the daily task of cooking and raising my siblings since I was 13 years old and entered college; all new, but … without friends. Searching for meaning in my life pushed me on a wild quest to ‘belong’ to something. It was the time when the massive consumption of drugs among young people began. Without knowing much about them I discovered that, in the new neighborhood, each group of young people had its own standard of behavior and tastes: clothes, music, liquor and… drugs. And the latter was common among them, some groups consumed drugs and others were dedicated to alcohol consumption while staying away from drugs. I wandered among these groups desperately looking for acceptance.
Once accepted and feeling identified by one of them, little by little I was enslaved by drugs; cocaine paste being a poison for me and very subtle poisoning my being, my conscience… poisoning me. My personality and the few values, values at last, instilled by my parents dissolved until they almost disappeared, and I came to consider myself as a total human scum. I suffered a lot on my own, feeling dead and, eventually, desiring her because I gave up my life for lost. I collapsed. Frustrated and impotent, I wished to kill my father; of my mother I thought ‘how can this old woman not die at once’; of my little son, only a few months old, I shook him hard when he cried and rebuked him harshly ‘why were you born alive’; finally, I challenged God to kill me if I really was; I cursed him for not taking my life and allowing my family to continue suffering because of me.
Having given my life lost to drugs, I decided that death was the only solution and began to seek it. I kept telling myself, “Either a ‘tombo’ (police, slang then and now) kills me with a bullet; or another ‘drogo’ (also slang, for drug addict) kills me with a stab wound or the drug kills me, but to die.” After much searching for help, someone told me about a rehab center and, although I was already resigned and ready to die, something inside me encouraged me saying ‘go, maybe it is the last plank of salvation’; obviously I went and there I met my Savior and Lord, after many times of listening to very emotional and manipulative evangelistic messages, someone preached the Gospel with clarity and, defeated, I fell at His feet crying out for forgiveness and pardon. Not only did He forgive me, He saved me! I thank God that He ignored the bluster of a dead worm like me and made His love and the blood of His Son shed on the cross have the value and effect that from eternity past determined what is not to be true that which flows from Him as such.
One day, reading the Bible in Arequipa where I was invited by the then missionary in Peru, Pablo Washer, while I was interned in the NACER center, the Lord marked my life with a verse which is a sign of His will for me, maybe I do not like much what it says, but it generates a great joy to submit:
== Materials data that have nothing to do with the text ==
Record 1
The following is a PBE calculation of a relaxed TbDy2PaS4 crystal, from Alexandria.

Properties
Raw total energy, eV for the cell shown: -54.9
DOS at the Fermi energy, states/eV per atom: 0.6621

```
data_TbDy2PaS4
_cell_length_a 6.772
_cell_length_b 3.878
_cell_length_c 6.783
_cell_angle_alpha 90.00
_cell_angle_beta 109.05
_cell_angle_gamma 90.00
_symmetry_space_group_name_H-M 'P 1 2/m 1'
_symmetry_Int_Tables_number 10
loop_
_symmetry_equiv_pos_as_xyz
'x,y,z'
'-x,-y,-z'
'-x,y,-z'
'x,-y,z'
loop_
_atom_site_label
_atom_site_type_symbol
_atom_site_fract_x
_atom_site_fract_y
_atom_site_fract_z
Tb1 Tb 0.000 0.000 0.000
Dy1 Dy 0.000 0.500 0.500
Dy2 Dy 0.500 0.000 0.500
Pa1 Pa 0.500 0.500 0.000
S1 S 0.248 0.000 0.747
S2 S 0.251 0.500 0.252
```



Record 2
The following is a PBE calculation of a relaxed BaCa2MgH crystal, from Alexandria.

Properties
Raw total energy, eV for the cell shown: -11.5
DOS at the Fermi energy, states/eV per atom: 0.9651

```
data_BaCa2MgH
_cell_length_a 5.260
_cell_length_b 5.260
_cell_length_c 5.605
_cell_angle_alpha 90.00
_cell_angle_beta 90.00
_cell_angle_gamma 90.00
_symmetry_space_group_name_H-M 'P 4/m m m'
_symmetry_Int_Tables_number 123
_symmetry_space_group_name_Hall '-P 4 2'
loop_
_atom_site_label
_atom_site_type_symbol
_atom_site_fract_x
_atom_site_fract_y
_atom_site_fract_z
Ba1 Ba 0.000 0.000 0.000
Ca1 Ca 0.000 0.500 0.500
Mg1 Mg 0.500 0.500 0.000
H1 H 0.000 0.000 0.500
```



Record 3
The following is a PBE calculation of a relaxed Tb5Nd4Sc3 crystal, from Alexandria.

Properties
DOS at the Fermi energy, states/eV per atom: 1.6453
Energy of formation, eV/atom: 0.206

```
data_Tb5Nd4Sc3
_cell_length_a 16.050
_cell_length_b 5.796
_cell_length_c 9.245
_cell_angle_alpha 90.00
_cell_angle_beta 117.48
_cell_angle_gamma 90.00
_symmetry_space_group_name_H-M 'C 1 2/m 1'
_symmetry_Int_Tables_number 12
loop_
_symmetry_equiv_pos_as_xyz
'x,y,z'
'-x,-y,-z'
'-x,y,-z'
'x,-y,z'
'x+1/2,y+1/2,z'
'-x+1/2,-y+1/2,-z'
'-x+1/2,y+1/2,-z'
'x+1/2,-y+1/2,z'
loop_
_atom_site_label
_atom_site_type_symbol
_atom_site_fract_x
_atom_site_fract_y
_atom_site_fract_z
Tb1 Tb 0.000 0.000 0.000
Tb2 Tb 0.071 0.500 0.713
Tb3 Tb 0.172 0.500 0.378
Nd1 Nd 0.085 0.000 0.447
Nd2 Nd 0.219 0.000 0.881
Sc1 Sc 0.000 0.500 0.000
Sc2 Sc 0.216 0.000 0.236
```

----------
== End of the materials data ==
“But of nothing do I heed, nor esteem my life precious to myself, provided I finish my course with joy, and the ministry which I received of the Lord Jesus, to bear witness of the gospel of the grace of God.”
Since then I have been involved solely in serving Him. The first few months as a believer many times I sought secular work to support my family, but the Lord thwarted the opportunity to do so every time it presented itself. I understood that He wanted me in His full-time service; I always wondered, and still do, how can a dead worm like me serve the Lord of all creation?
Call to Ministry
I have been called to work with pastors, leaders and churches in the field, and the more remote the locations the better. No matter what I am called to do, whatever I am commissioned to do, I will do it when I am convinced that they will do a better job at the task they took on with joy. The scars on the heart and soul are a small reward compared to what these precious men and women carry in their own hearts, in their own souls. I am left with the joy that in eternity I will watch them, admiringly and from afar, as they are received by their Lord, acknowledging and thanking Him for the privilege I was given to serve Him by serving them.
How good the Lord is!